(Listing)
=====
The following is a DFT calculation (PBE+U) of Sr2MnZn2As2O2 after structural relaxation.

Computed properties:
- Total magnetization: 9.86 μB/cell
- V: 332.73 Å³/cell
- Formation energy: -1.507 eV per atom

a b c (Å): 4.1995 4.1995 18.8670
angles (deg): 90.00 90.00 90.00
Space group I4/mmm (No. 139)
Inequivalent atoms, fractional coordinates:
Sr (0.0000, 0.0000, 0.0865) [4 per cell]
Mn (0.0000, 0.0000, 0.5000) [2 per cell]
Zn (0.0000, 0.5000, 0.2500) [4 per cell]
As (0.0000, 0.0000, 0.3313) [4 per cell]
O (0.0000, 0.5000, 0.0000) [4 per cell]

=====

Cr8FeCo2CuS16 | PBE | relaxed

Calculated values
* energy of formation from the pure elements: -24.0 eV per formula unit

a b c (Å): 12.064 12.064 12.064
angles (deg): 33.71 33.71 33.71
Atoms (fractional coordinates):
Cr: 0.749 0.749 0.749
Cr: 0.250 0.250 0.250
Cr: 0.998 0.501 0.501
Cr: 0.498 0.001 0.001
Cr: 0.501 0.998 0.501
Cr: 0.001 0.498 0.001
Cr: 0.501 0.501 0.998
Cr: 0.001 0.001 0.498
Fe: 0.438 0.438 0.438
Co: 0.562 0.562 0.562
Co: 0.938 0.938 0.938
Cu: 0.062 0.062 0.062
S: 0.129 0.129 0.129
S: 0.628 0.628 0.628
S: 0.395 0.863 0.863
S: 0.890 0.366 0.366
S: 0.863 0.395 0.863
S: 0.366 0.890 0.366
S: 0.863 0.863 0.395
S: 0.366 0.366 0.890
S: 0.371 0.371 0.371
S: 0.872 0.872 0.872
S: 0.108 0.635 0.635
S: 0.610 0.134 0.134
S: 0.635 0.108 0.635
S: 0.134 0.610 0.134
S: 0.635 0.635 0.108
S: 0.134 0.134 0.610

=====

Cr6Co2CuSe12 | PBE | relaxed

Calculated values
* energy of formation from the pure elements: -14.4 eV per formula unit

a b c (Å): 6.630 6.630 17.097
angles (deg): 78.33 78.33 32.13
Atoms (fractional coordinates):
Cr: 0.501 0.501 0.241
Cr: 0.167 0.167 0.573
Cr: 0.833 0.833 0.907
Cr: 0.167 0.167 0.093
Cr: 0.833 0.833 0.427
Cr: 0.499 0.499 0.759
Co: 0.667 0.667 0.334
Co: 0.333 0.333 0.666
Cu: 0.000 0.000 0.000
Se: 0.304 0.304 0.324
Se: 0.970 0.970 0.656
Se: 0.645 0.645 0.993
Se: 0.355 0.355 0.007
Se: 0.030 0.030 0.344
Se: 0.696 0.696 0.676
Se: 0.967 0.967 0.152
Se: 0.635 0.635 0.481
Se: 0.302 0.302 0.814
Se: 0.698 0.698 0.186
Se: 0.365 0.365 0.519
Se: 0.033 0.033 0.848

=====

Cr8CoCu3Se16 | PBE | relaxed

Calculated values
* energy of formation from the pure elements: -20.5 eV per formula unit

a b c (Å): 7.373 7.373 10.422
angles (deg): 90.00 90.00 90.00
Atoms (fractional coordinates):
Cr: 0.250 0.500 0.124
Cr: 0.753 0.000 0.625
Cr: 0.750 0.500 0.124
Cr: 0.247 0.000 0.625
Cr: 0.000 0.247 0.375
Cr: 0.500 0.750 0.876
Cr: 0.500 0.250 0.876
Cr: 0.000 0.753 0.375
Co: 0.500 0.500 0.500
Cu: 0.000 0.000 0.000
Cu: 0.500 0.000 0.250
Cu: 0.000 0.500 0.750
Se: 0.762 0.500 0.369
Se: 0.266 0.000 0.867
Se: 0.238 0.500 0.369
Se: 0.734 0.000 0.867
Se: 0.500 0.238 0.631
Se: 0.000 0.734 0.133
Se: 0.500 0.762 0.631
Se: 0.000 0.266 0.133
Se: 0.235 0.000 0.383
Se: 0.735 0.500 0.883
Se: 0.765 0.000 0.383
Se: 0.265 0.500 0.883
Se: 0.500 0.265 0.117
Se: 0.000 0.765 0.617
Se: 0.500 0.735 0.117
Se: 0.000 0.235 0.617

=====

Material: FePO6
Method: DFT, PBE with a Hubbard U
State: optimized geometry

CIF file:
```
data_FePO6
_cell_length_a 9.603
_cell_length_b 10.622
_cell_length_c 9.603
_cell_angle_alpha 90.00
_cell_angle_beta 90.00
_cell_angle_gamma 90.00
_symmetry_space_group_name_H-M 'P b c a'
_symmetry_Int_Tables_number 61
_symmetry_space_group_name_Hall '-P 2ac 2ab'
loop_
_atom_site_label
_atom_site_type_symbol
_atom_site_fract_x
_atom_site_fract_y
_atom_site_fract_z
Fe1 Fe 0.199 0.114 0.085
P1 P 0.158 0.646 0.411
O1 O 0.002 0.135 0.090
O2 O 0.030 0.166 0.390
O3 O 0.036 0.232 0.830
O4 O 0.203 0.721 0.958
O5 O 0.215 0.620 0.263
O6 O 0.220 0.550 0.516
```

Values from the calculation:
relative energy among the computed polymorphs: 26.1 meV/atom
spin magnetization: 0.38 μB per atom


Material: NaFe5O8
Method: DFT, PBE with a Hubbard U
State: optimized geometry

CIF file:
```
data_NaFe5O8
_cell_length_a 8.622
_cell_length_b 8.622
_cell_length_c 8.622
_cell_angle_alpha 90.00
_cell_angle_beta 90.00
_cell_angle_gamma 90.00
_symmetry_space_group_name_H-M 'P 43 3 2'
_symmetry_Int_Tables_number 212
=====
(What to do)
Your job: find the line further above that holds "0.5000) [2", then give back that line and all lines after it there.
(Solution)
Mn (0.0000, 0.0000, 0.5000) [2 per cell]
Zn (0.0000, 0.5000, 0.2500) [4 per cell]
As (0.0000, 0.0000, 0.3313) [4 per cell]
O (0.0000, 0.5000, 0.0000) [4 per cell]

=====

Cr8FeCo2CuS16 | PBE | relaxed

Calculated values
* energy of formation from the pure elements: -24.0 eV per formula unit

a b c (Å): 12.064 12.064 12.064
angles (deg): 33.71 33.71 33.71
Atoms (fractional coordinates):
Cr: 0.749 0.749 0.749
Cr: 0.250 0.250 0.250
Cr: 0.998 0.501 0.501
Cr: 0.498 0.001 0.001
Cr: 0.501 0.998 0.501
Cr: 0.001 0.498 0.001
Cr: 0.501 0.501 0.998
Cr: 0.001 0.001 0.498
Fe: 0.438 0.438 0.438
Co: 0.562 0.562 0.562
Co: 0.938 0.938 0.938
Cu: 0.062 0.062 0.062
S: 0.129 0.129 0.129
S: 0.628 0.628 0.628
S: 0.395 0.863 0.863
S: 0.890 0.366 0.366
S: 0.863 0.395 0.863
S: 0.366 0.890 0.366
S: 0.863 0.863 0.395
S: 0.366 0.366 0.890
S: 0.371 0.371 0.371
S: 0.872 0.872 0.872
S: 0.108 0.635 0.635
S: 0.610 0.134 0.134
S: 0.635 0.108 0.635
S: 0.134 0.610 0.134
S: 0.635 0.635 0.108
S: 0.134 0.134 0.610

=====

Cr6Co2CuSe12 | PBE | relaxed

Calculated values
* energy of formation from the pure elements: -14.4 eV per formula unit

a b c (Å): 6.630 6.630 17.097
angles (deg): 78.33 78.33 32.13
Atoms (fractional coordinates):
Cr: 0.501 0.501 0.241
Cr: 0.167 0.167 0.573
Cr: 0.833 0.833 0.907
Cr: 0.167 0.167 0.093
Cr: 0.833 0.833 0.427
Cr: 0.499 0.499 0.759
Co: 0.667 0.667 0.334
Co: 0.333 0.333 0.666
Cu: 0.000 0.000 0.000
Se: 0.304 0.304 0.324
Se: 0.970 0.970 0.656
Se: 0.645 0.645 0.993
Se: 0.355 0.355 0.007
Se: 0.030 0.030 0.344
Se: 0.696 0.696 0.676
Se: 0.967 0.967 0.152
Se: 0.635 0.635 0.481
Se: 0.302 0.302 0.814
Se: 0.698 0.698 0.186
Se: 0.365 0.365 0.519
Se: 0.033 0.033 0.848

=====

Cr8CoCu3Se16 | PBE | relaxed

Calculated values
* energy of formation from the pure elements: -20.5 eV per formula unit

a b c (Å): 7.373 7.373 10.422
angles (deg): 90.00 90.00 90.00
Atoms (fractional coordinates):
Cr: 0.250 0.500 0.124
Cr: 0.753 0.000 0.625
Cr: 0.750 0.500 0.124
Cr: 0.247 0.000 0.625
Cr: 0.000 0.247 0.375
Cr: 0.500 0.750 0.876
Cr: 0.500 0.250 0.876
Cr: 0.000 0.753 0.375
Co: 0.500 0.500 0.500
Cu: 0.000 0.000 0.000
Cu: 0.500 0.000 0.250
Cu: 0.000 0.500 0.750
Se: 0.762 0.500 0.369
Se: 0.266 0.000 0.867
Se: 0.238 0.500 0.369
Se: 0.734 0.000 0.867
Se: 0.500 0.238 0.631
Se: 0.000 0.734 0.133
Se: 0.500 0.762 0.631
Se: 0.000 0.266 0.133
Se: 0.235 0.000 0.383
Se: 0.735 0.500 0.883
Se: 0.765 0.000 0.383
Se: 0.265 0.500 0.883
Se: 0.500 0.265 0.117
Se: 0.000 0.765 0.617
Se: 0.500 0.735 0.117
Se: 0.000 0.235 0.617

=====

Material: FePO6
Method: DFT, PBE with a Hubbard U
State: optimized geometry

CIF file:
```
data_FePO6
_cell_length_a 9.603
_cell_length_b 10.622
_cell_length_c 9.603
_cell_angle_alpha 90.00
_cell_angle_beta 90.00
_cell_angle_gamma 90.00
_symmetry_space_group_name_H-M 'P b c a'
_symmetry_Int_Tables_number 61
_symmetry_space_group_name_Hall '-P 2ac 2ab'
loop_
_atom_site_label
_atom_site_type_symbol
_atom_site_fract_x
_atom_site_fract_y
_atom_site_fract_z
Fe1 Fe 0.199 0.114 0.085
P1 P 0.158 0.646 0.411
O1 O 0.002 0.135 0.090
O2 O 0.030 0.166 0.390
O3 O 0.036 0.232 0.830
O4 O 0.203 0.721 0.958
O5 O 0.215 0.620 0.263
O6 O 0.220 0.550 0.516
```

Values from the calculation:
relative energy among the computed polymorphs: 26.1 meV/atom
spin magnetization: 0.38 μB per atom


Material: NaFe5O8
Method: DFT, PBE with a Hubbard U
State: optimized geometry

CIF file:
```
data_NaFe5O8
_cell_length_a 8.622
_cell_length_b 8.622
_cell_length_c 8.622
_cell_angle_alpha 90.00
_cell_angle_beta 90.00
_cell_angle_gamma 90.00
_symmetry_space_group_name_H-M 'P 43 3 2'
_symmetry_Int_Tables_number 212